is it too much?


New Member
I have a 75g. tank stocked with:
a snowflake eel (14 inches)
a zebra eel (12 inches)
a panther grouper (5 inches)
a niger trigger (3 inches)
a yellow tang
a nice size green brittle star
a chocolate chip star
I have a volitan lionfish on order at a lfs. I'd also like to add a tesselata eel.
(I plan on moving these guys to a bigger tank asap)
While they are living together peacefully now, my question is, will they continue to do so as they get bigger? And if I get a big enough tank can I add another eel or two?
What do you think????


WAY TOO MUCH FOR A 75G!!!!!!!!!!!!!!! :scared: Dear god, with just half of those fish it would be too much. If you want all that you will need a tank A LOT BIGGER. Your bioload is just going to be too much and this fish most likely will kill eachother because of the tiny space, especially as they get bigger. I'm not sure how big of a tank you will need, but it will be in the 180 just to keep them quiet, possibly bigger as they all mature to their full size. Plus, with the Tesselated, they eat fish unlike the zebra eel (which just eats crustaceans), so you might want to think that one over.
P.S> Must be an amazing looking tank though


New Member
It does sound pretty crowded doesn't it?! It doesn't look that way though. I plan on moving them up to a 150 right after christmas. And eventually I'd like a 300,at least. You think they'd be good in a 150 for a year or two?


Active Member
Originally Posted by amber78
It does sound pretty crowded doesn't it?! It doesn't look that way though. I plan on moving them up to a 150 right after christmas. And eventually I'd like a 300,at least. You think they'd be good in a 150 for a year or two?

i agree a 180 is really gonna have to do the trick. and yes it doesnt look like it right now, youre right, but the grouper grows extremely fast, and the waste that eels produce, actually most carnivores for that matter, is gonna be way too much for your 75. you will have to have a 180 minimum, and even then youre pushing it.
I bet your tank looks awesome now, but there will be a big war with those guys. and then you thought about adding a lion, and another eel. too many fish, as it is, then to add those guys, thats a time bomb waiting to happen. good luck. i think if you want to have a 150, you could do the eels, and the lion, and the trigger. and maybe one more decent sized fish.
make a list of your favorites out of what you have.. i know those are all of your favs. but maybe you favor one more than the other. this way we could help you narrow down what you should keep.
If you were to get a 300, youd be able to have all of those, and that would be one insane aggressive tank

that poor yellow, hes probably losing his mind. by the way what do you feed the yellow? considering everyone else are carnivores.


New Member
The tang was there first, before I decided to go aggressive. The lfs said he should be fine for now. I give him seaweed and flakes and he eats on the shrimp I feed the rest of the tank. Thanks for the advice, I guess I'll just have to get my 300 sooner than later.

# The piece is interrupted by calculated crystals
'''
[1]
Diffraction record for La3Pr8Th. The powder X-ray diffraction pattern is calculated, not measured: it uses a crystal structure in Alexandria, relaxed with PBE and Cu Kα.
Intensities are scaled so that the largest is 100.

Structure:
```
La3Pr8Th
1.0
-3.3349 5.8920 5.9078
3.3349 -5.8920 5.9078
3.3349 5.8920 -5.9078
La Pr Th
3 8 1
Direct
0.0000 0.0000 0.0000
0.2750 0.5000 0.7750
0.7250 0.5000 0.2250
0.0866 0.8331 0.2535
0.2543 0.0093 0.7550
0.2543 0.4993 0.2450
0.4204 0.1669 0.2535
0.5796 0.8331 0.7465
0.7457 0.5007 0.7550
0.7457 0.9907 0.2450
0.9134 0.1669 0.7465
0.5000 0.0000 0.5000
```

Peak list (6 most intense, 2θ = 5–70°, by angle)
d 2.948, 30.3°, I 64.6; d 2.939, 30.4°, I 100.0; d 2.903, 30.8°, I 62.6; d 2.640, 34.0°, I 24.5; d 2.605, 34.4°, I 44.2; d 1.839, 49.6°, I 25.1

***

[2]
Diffraction record for La10Pr4Th. The powder X-ray diffraction pattern is calculated, not measured: it uses a crystal structure in Alexandria, relaxed with PBE and Cu Kα.
Intensities are scaled so that the largest is 100.

Structure:
```
La10Pr4Th
1.0
-5.8038 5.8038 4.1175
5.8038 -5.8038 4.1175
5.8038 5.8038 -4.1175
La Pr Th
10 4 1
Direct
0.0071 0.7941 0.2130
0.2059 0.4189 0.2130
0.2059 0.9929 0.7870
0.2500 0.7500 0.5000
0.4189 0.2059 0.2130
0.5811 0.7941 0.7870
0.7500 0.2500 0.5000
0.7941 0.0071 0.2130
0.7941 0.5811 0.7870
0.9929 0.2059 0.7870
0.2780 0.2780 0.5559
0.2780 0.7220 0.0000
0.7220 0.2780 0.0000
0.7220 0.7220 0.4441
0.5000 0.5000 0.0000
```

Peak list (6 most intense, 2θ = 5–70°, by angle)
d 3.358, 26.5°, I 18.1; d 2.998, 29.8°, I 34.6; d 2.904, 30.8°, I 100.0; d 2.739, 32.7°, I 26.1; d 2.671, 33.6°, I 17.8; d 2.278, 39.6°, I 30.5

***

[3]
Diffraction record for La2Pr2Th. The powder X-ray diffraction pattern is calculated, not measured: it uses a crystal structure in Alexandria, relaxed with PBE and Cu Kα.
Intensities are scaled so that the largest is 100.

Structure:
```
La2Pr2Th
1.0
1.8490 1.0675 14.9927
-1.8490 1.0675 14.9927
0.0000 -2.1350 14.9927
La Pr Th
2 2 1
Direct
0.1338 0.1338 0.1338
0.8662 0.8662 0.8662
0.3967 0.3967 0.3967
0.6033 0.6033 0.6033
0.0000 0.0000 0.0000
```

Peak list (6 most intense, 2θ = 5–70°, by angle)
d 3.017, 29.6°, I 47.4; d 2.999, 29.8°, I 66.2; d 2.866, 31.2°, I 82.0; d 2.783, 32.2°, I 100.0; d 1.849, 49.3°, I 51.4; d 1.574, 58.7°, I 59.0

***

[4]
Diffraction record for LaPr6Th2. The powder X-ray diffraction pattern is calculated, not measured: it uses a crystal structure in Alexandria, relaxed with PBE and Cu Kα.
Intensities are scaled so that the largest is 100.

Structure:
```
LaPr6Th2
1.0
3.6543 0.0000 0.0000
-1.8272 3.1648 0.0000
0.0000 0.0000 27.7367
La Pr Th
1 6 2
Direct
0.0000 0.0000 0.0000
0.0000 0.0000 0.2237
0.0000 0.0000 0.4369
0.0000 0.0000 0.5631
0.0000 0.0000 0.7763
0.3333 0.6667 0.1117
0.3333 0.6667 0.8883
0.3333 0.6667 0.3313
0.3333 0.6667 0.6687
```

Peak list (6 most intense, 2θ = 5–70°, by angle)
'''
# The calculated crystals stop here


If you do get a 300, you WILL have to post pics when everything is settled in because that is an amazing combonation of fish.